The Delta Wing – Tail heavy can be a good thing

The Delta Wing car is tail heavy and should be tail happy

Part 3 of 7 in our Delta Wing series addresses the weight distribution, which defies typical race car design convention.

This one will be short but sweet, but we wanted to give it a dedicated article because it is so key in tying the other characteristics of the car together.

This car has over 70% of its weight on the rear wheels.

This also goes back to the big wheel comparison we made before. If you recall, the seat of a big wheel basically put the weight of the rider right over (or very close to) the rear axle. This was also briefly mentioned in discussing how the car turns. Essentially this car is all about the rear wheels and the front end is just there to point it in the direction you want to go.

Also with so much weight over the rear wheels, the transfer of weight under various loads is greatly reduced, namely under heavy braking.

=====
# C20H32BBrN2O5PS

2 unconnected molecules or ions with the total composition C20H32BBrN2O5PS in a non-equilibrium geometry (wB97M-V/def2-TZVPD, the OMol25 dataset).

## Properties
HOMO level	-12.132	eV
M	534.24	g mol⁻¹
total charge	+1

Last column: Mulliken charge in e.
CARTESIAN COORDINATES (ANGSTROEM)
C1 -1.977 2.869 5.184  -1.17
C2 -2.963 2.107 4.326  -0.07
O1 -2.785 0.683 4.445  -0.55
B1 -2.511 -0.037 3.309  0.67
O2 -3.249 -1.102 2.942  -0.48
C3 -1.210 0.363 2.495  -0.35
N1 -0.130 0.640 3.298  0.37
C4 1.062 1.020 2.868  0.39
P1 2.389 1.264 4.110  0.23
N2 3.620 0.357 3.823  -0.63
C5 1.266 1.188 1.499  0.28
C6 2.524 1.587 0.990  -1.06
C7 2.692 1.746 -0.344  -1.47
C8 1.619 1.522 -1.239  0.39
C9 1.814 1.730 -2.711  -1.37
C10 1.720 3.216 -3.048  -0.57
O3 0.502 3.817 -2.627  -0.51
C11 0.401 1.120 -0.757  -0.34
C12 0.172 0.942 0.615  1.16
C13 -1.088 0.517 1.154  0.54
C14 -2.260 0.262 0.246  -1.39
C15 -2.640 -1.217 -0.002  -0.73
C16 -1.532 -2.204 0.314  -0.59
Br1 -2.252 -4.015 0.331  -0.14
H1 -2.315 3.898 5.288  0.42
H2 -1.904 2.405 6.165  0.29
H3 -0.987 2.910 4.729  0.19
H4 -3.975 2.341 4.649  0.48
H5 -2.894 2.428 3.283  0.17
H6 -4.133 -1.099 3.326  0.29
H7 -0.284 0.552 4.296  0.42
H8 1.702 1.039 5.316  0.11
H9 2.616 2.644 4.022  0.16
H10 3.833 -0.279 4.581  0.26
H11 3.343 1.745 1.676  0.40
H12 3.656 2.054 -0.722  0.56
H13 1.063 1.162 -3.254  0.29
H14 2.812 1.384 -2.975  0.54
H15 2.528 3.765 -2.566  0.38
H16 1.819 3.351 -4.126  0.36
H17 -0.195 3.156 -2.644  0.33
H18 -0.378 0.936 -1.480  0.23
H19 -2.097 0.750 -0.705  0.51
H20 -3.119 0.775 0.683  0.38
H21 -3.537 -1.497 0.541  0.47
H22 -2.858 -1.313 -1.065  0.51
H23 -0.774 -2.229 -0.459  0.16
H24 -1.091 -2.070 1.294  0.40
C17 1.572 -4.074 -4.557  -0.59
C18 0.114 -4.262 -4.117  -0.79
C19 -0.222 -3.116 -3.154  -0.47
S1 0.834 -1.740 -3.634  1.49
O4 1.748 -1.453 -2.553  -0.65
O5 0.028 -0.680 -4.197  -0.76
C20 1.712 -2.601 -4.930  -0.92
H25 1.828 -4.718 -5.396  0.39
H26 2.246 -4.314 -3.733  0.30
H27 -0.541 -4.215 -4.988  0.33
H28 -0.044 -5.227 -3.640  0.35
H29 -1.260 -2.796 -3.225  0.39
H30 0.023 -3.368 -2.124  0.25
H31 2.739 -2.244 -4.958  0.40
H32 1.209 -2.374 -5.869  0.39

* * * * *

# 1
The following is a quantum chemistry calculation of a molecular structure, C33H33ClN5Se2Te2Y, from OMol25.

Output
Total charge: -2
Energy above the lowest of the compared OMol25 structures with the same formula, charge and spin in eV: 0.563
HOMO-LUMO gap (alpha / beta) in eV: 2.9312 / 2.9298
E_LUMO (alpha / beta) in eV: 3.2 / 3.2

Element x y z (Å)
Y 1.27 0.84 1.49
Se 0.82 1.24 4.47
Te 1.42 3.62 4.80
Te 1.10 4.98 2.20
Se 3.32 5.12 1.04
N 3.71 1.76 1.91
C 4.65 0.83 1.39
C 5.81 1.26 0.79
C 6.60 0.29 0.17
C 6.38 -1.04 0.26
C 5.16 -1.48 0.93
C 4.73 -2.80 1.07
C 3.54 -3.12 1.71
C 2.73 -2.09 2.15
N 3.06 -0.77 2.04
C 4.31 -0.51 1.43
H 3.79 2.75 1.69
H 3.47 1.63 2.92
H 5.97 2.35 0.74
H 7.46 0.59 -0.35
H 7.07 -1.74 -0.18
H 5.38 -3.55 0.68
H 3.24 -4.08 1.93
H 1.70 -2.21 2.41
C -1.32 2.03 0.01
C -1.00 3.36 0.72
C -2.09 3.62 1.82
=====

To us, the biggest benefit to this is 1) Having a lot of weight over the wheels that drive the car thereby increasing traction under heavy acceleration and deceleration, and 2) being able to brake and steer deep into a corner, otherwise known as trail braking.

When a driver is braking into a corner in a current type of IndyCar, with the more uniform weight distribution, a significant amount of weight transfers to the front wheels, which end up doing most of the braking and the steering, while the rear just follows behind. This is why you typically do not see much trail-braking in IndyCars as it is very easy to lock up the front wheels and push wide, effectively nullifying a pass attempt.

It would be ideal for a driver to be able to have the option and ability to carry the brakes deeper into the corner, thereby increasing passing opportunities, especially on a road course. This is key to increasing the competitive on-track product, but also adds an additional driving element and skill requirement.

In the Delta Wing configuration, the rear is doing most of the braking, allowing the front to do the steering work.

-- begin --
No. 1
Formula: C17H9BrF5GdINO6S
Source: the Open Molecules 2025 dataset
Level of theory: ωB97M-V with the def2-TZVPD basis set

The geometry in ORCA input format:
```
! wB97M-V def2-TZVPD RIJCOSX def2/J DEFGRID3
* xyz 0 8
Gd -0.22 -0.03 1.03
O 0.12 -2.29 4.68
C -0.48 -2.09 3.53
O -0.82 -0.99 3.13
C -0.80 -3.38 2.80
O -0.73 -3.26 1.39
C 0.57 -3.45 0.82
C 1.15 -2.05 0.82
O 1.46 -1.56 1.92
O 1.00 -1.33 -0.23
H 0.27 -1.42 5.10
H -0.16 -4.18 3.17
H -1.84 -3.62 3.04
H 1.17 -4.14 1.41
H 0.42 -3.82 -0.19
F 0.00 7.05 0.82
C 0.27 5.81 1.25
C -0.09 4.72 0.50
F -0.73 4.87 -0.66
C 0.22 3.46 0.98
F -0.15 2.40 0.23
C 0.86 3.22 2.17
S 1.24 1.60 2.71
C 1.21 4.35 2.90
F 1.84 4.22 4.07
C 0.92 5.62 2.45
F 1.27 6.69 3.18
O -4.78 -0.37 0.95
C -3.61 -0.17 0.95
N -2.43 0.03 0.94
Br -1.63 1.10 -5.47
C -0.52 -0.34 -4.99
C 0.10 -1.05 -6.02
C 0.93 -2.12 -5.72
C 1.15 -2.48 -4.41
C 0.54 -1.78 -3.38
C -0.30 -0.72 -3.67
I -1.24 0.29 -2.10
H -0.08 -0.75 -7.04
H 1.41 -2.66 -6.53
H 1.80 -3.32 -4.17
H 0.71 -2.05 -2.35
*
```

Calculated values
Energy above the lowest of the compared OMol25 structures with the same formula, charge and spin = 6.684 eV
E_tot = -154945.7300 eV
Gap between HOMO and LUMO (alpha / beta) = 5.29 / 4.15 eV
⟨S²⟩ = 16.0948
HOMO energy (alpha / beta) = -0.1915 / -0.2968 hartree

No. 2
Formula: C17H9BrN2O6RuSe2Te2
Source: the Open Molecules 2025 dataset
Level of theory: ωB97M-V with the def2-TZVPD basis set

The geometry in ORCA input format:
```
! wB97M-V def2-TZVPD RIJCOSX def2/J DEFGRID3
* xyz 0 5
Ru 0.53 -0.51 0.57
Se 2.68 -1.29 -0.16
Te 1.17 -3.08 0.76
Te -1.61 -2.31 0.85
Se -1.71 -0.16 1.96
Br 0.08 1.84 -0.73
C 0.81 2.87 0.70
C 0.78 4.22 0.59
C 1.33 5.00 1.63
C 1.87 4.40 2.72
C 1.91 2.99 2.84
C 2.48 2.36 3.98
C 2.51 1.00 4.07
C 1.98 0.20 3.03
C 1.40 0.76 1.92
C 1.36 2.18 1.81
H 0.34 4.69 -0.28
H 1.31 6.08 1.55
H 2.30 5.00 3.52
H 2.89 2.98 4.76
H 2.95 0.53 4.94
H 2.02 -0.88 3.14
O 1.18 -0.55 -3.15
C 0.09 -0.73 -2.62
O -0.13 -1.27 -1.47
C -1.13 -0.18 -3.33
C -2.36 -0.12 -2.70
C -3.45 0.40 -3.38
C -3.35 0.86 -4.68
C -2.12 0.78 -5.28
C -1.01 0.27 -4.64
N -1.99 1.26 -6.68
O -2.97 1.74 -7.20
O -0.92 1.08 -7.23
N -4.77 0.48 -2.72
O -5.65 1.07 -3.31
O -4.91 -0.10 -1.66
H -2.48 -0.47 -1.68
H -4.20 1.27 -5.20
H -0.05 0.23 -5.14
*
```

Calculated values
Energy above the lowest of the compared OMol25 structures with the same formula, charge and spin = 1.271 eV
E_tot = -250937.5731 eV
Gap between HOMO and LUMO (alpha / beta) = 6.54 / 5.37 eV
⟨S²⟩ = 6.0564
HOMO energy (alpha / beta) = -0.2954 / -0.3057 hartree

No. 3
Formula: C17H9F9NO5S3
Source: the Open Molecules 2025 dataset
Level of theory: ωB97M-V with the def2-TZVPD basis set

The geometry in ORCA input format:
```
! wB97M-V def2-TZVPD RIJCOSX def2/J DEFGRID3
* xyz -1 1
F -3.43 2.68 -2.12
C -2.83 2.27 -0.98
F -2.80 3.28 -0.09
F -3.56 1.24 -0.46
S -1.08 1.74 -1.36
C -0.62 0.85 0.11
C 0.73 1.24 0.49
C 1.78 1.24 -0.47
C 3.09 1.37 -0.06
C 3.37 1.58 1.29
C 4.80 1.70 1.71
F 4.94 2.45 2.85
F 5.35 0.47 1.96
-- stop --

We could talk about the friction circle and vector addition, but that might get too cryptic.

Someone pasted molecular data at this point:
Molecular formula: C16H26BrF2N2O4PPtS
Method: DFT, ωB97M-V/def2-TZVPD

CARTESIAN COORDINATES (ANGSTROEM)
C1 5.138 0.154 0.383
C2 4.612 1.321 -0.465
S1 2.831 1.473 -0.529
C3 2.332 -0.087 -1.292
C4 0.806 -0.295 -1.235
C5 0.476 -1.682 -1.929
C6 0.132 -2.961 -1.154
C7 -0.921 -3.817 -1.864
O1 1.389 -3.653 -1.074
C8 0.156 0.713 -2.187
O2 0.544 1.018 -3.260
N1 -1.061 1.219 -1.629
C9 -1.289 0.556 -0.351
Br1 -2.452 -0.983 -0.621
P1 -2.465 1.647 0.622
C10 -3.402 0.944 1.984
C11 -2.960 1.301 3.436
C12 -3.487 2.558 -0.553
C13 -5.003 2.328 -0.406
C14 0.164 0.211 0.089
N2 0.389 -0.507 1.361
C15 0.213 0.228 2.566
O3 0.205 -0.206 3.635
F1 0.045 1.558 2.299
C16 1.666 -1.176 1.497
O4 2.654 -0.679 1.861
F2 1.580 -2.423 1.082
H1 5.807 -0.495 -0.187
H2 4.365 -0.461 0.854
H3 5.674 0.631 1.276
H4 4.941 2.291 -0.080
H5 4.984 1.245 -1.492
H6 2.867 -0.942 -0.863
H7 2.578 -0.039 -2.361
H8 -0.291 -1.515 -2.694
H9 1.389 -1.923 -2.486
H10 -0.204 -2.741 -0.135
H11 -1.634 -3.227 -2.450
H12 -1.479 -4.436 -1.155
H13 -0.403 -4.487 -2.561
H14 1.320 -4.388 -0.448
H15 -1.039 2.236 -1.609
H16 -4.426 1.306 1.829
H17 -3.441 -0.142 1.846
H18 -2.476 0.449 3.913
H19 -3.852 1.554 4.012
H20 -2.281 2.154 3.493
H21 -3.247 3.629 -0.450
H22 -3.143 2.263 -1.554
H23 -5.484 2.809 -1.263
H24 -5.254 1.262 -0.439
H25 -5.407 2.758 0.514
H26 0.597 1.211 0.207
Pt1 7.245 0.238 2.020

Values from the calculation:
* maximum force: 2.20 eV/A
* 2S+1: 1
* total charge: +2
* orbital gap: 1.62 eV
* LUMO energy: -11.53 eV
* total energy: -4667.4511 a.u.

Molecular formula: C16H26Cl2O2Zr
Method: DFT, ωB97M-V/def2-TZVPD

CARTESIAN COORDINATES (ANGSTROEM)
C1 0.218 -1.249 -3.232
C2 1.053 -0.128 -3.365
C3 0.235 1.052 -3.411
C4 2.531 -0.180 -3.472
C5 -1.124 0.624 -3.281
C6 -1.154 -0.787 -3.162
C7 -2.352 -1.618 -2.987
C8 0.679 -2.647 -3.215
C9 0.715 2.438 -3.578
C10 -2.314 1.504 -3.293
Zr1 1.065 1.039 0.518
Cl1 3.015 2.103 0.937
Cl2 1.661 -1.352 -0.001
O1 -0.379 1.904 -0.494
H1 2.856 -1.212 -3.486
H2 3.069 0.335 -2.653
H3 2.874 0.281 -4.421
H4 1.559 2.654 -2.922
H5 -0.085 3.150 -3.374
H6 1.050 2.591 -4.608
H7 -2.127 2.444 -2.769
H8 -3.157 0.992 -2.819
H9 -2.605 1.751 -4.323
H10 -3.222 -0.980 -2.823
H11 -2.214 -2.277 -1.992
H12 -2.529 -2.214 -3.897
H13 1.650 -2.724 -2.716
H14 0.812 -3.024 -4.239
H15 -0.036 -3.280 -2.681
H16 -1.331 2.234 -0.524
O2 -2.061 -2.721 -0.529
H17 -1.194 -2.688 -0.146
C11 -1.084 0.850 5.739
C12 0.196 0.131 5.293
C13 1.425 0.779 5.947
C14 0.156 -1.315 5.808
C15 0.304 0.237 3.801
C16 0.394 0.434 2.582
H18 -1.191 0.836 6.830
H19 -1.964 0.361 5.314
H20 -1.076 1.894 5.417
H21 1.348 0.752 7.039
H22 2.326 0.221 5.669
H23 1.547 1.820 5.640
H24 -0.688 -1.874 5.410
H25 1.083 -1.837 5.565
H26 0.067 -1.306 6.907

Values from the calculation:
* maximum force: 5.14 eV/A
* 2S+1: 1
* energy above the lowest of the compared OMol25 structures with the same formula, charge and spin: 0.0 kJ/mol
* total charge: -2
* orbital gap (alpha / beta): 2.95 / 2.97 eV
* LUMO energy (alpha / beta): 4.15 / 4.15 eV

Let's look at it like this. Let's say there is a number that represents the total amount of grip, and make that number 10. That grip can be all in one direction, forward or sideways, or a combination of the two that when added together, does not exceed 10. When you exceed 10, you lose grip and lock up a wheel. So let's say you want to brake as hard as possible, at 10, and then turn the wheel at maximum cornering speed, also 10. You add those two together and that is 20, which doesn't work.

Many of us have experienced this in the rain or snow when you go to hit the brakes and steer at the same time. The car just continues to go straight because you have used up all the grip in a straight line and there is none left to turn the car.

This is why almost all cars now have anti-lock brakes. It senses that limit of grip and comes off the brake for you just a bit, allowing you to steer the car and still brake at the highest possible level. Well, anti-lock brakes in a racing car are no fun, because it removes the skill of the driver.

So with this car, with the rear doing most of the braking work, we are not asking the front wheels to do two things, and the steering remains intact even at full braking.

With the majority of the weight on the rear wheels, the role of an active differential also becomes especially significant, and that will be in one of our other articles in the series, so keep checking back for more!

Note from the simulations above how the driver is able to control the heavy tail around Long Beach, including the hairpin